_Material_
(1)
Here is 2 unconnected molecules or ions with the total composition CHCl3O2S from OMol25. Energies are from ωB97M-V/def2-TZVPD.

Output
**HOMO level (spin up / spin down)**: -0.3732 / -0.3778 Eh
**SMILES string**: O=S(=O)=C(Cl)Cl.Cl
**LUMO level (spin up / spin down)**: -2.87 / -2.58 eV
**Gap between HOMO and LUMO (spin up / spin down)**: 7.286 / 7.698 eV
**Charge**: 0
**E_tot**: -1967.8361 a.u.

The geometry in XYZ format:
```
8
Properties=species:S:1:pos:R:3:forces:R:3
O 0.8389 -0.8888 0.8214 -0.3 -1.5 -0.1
S 0.9678 0.4141 0.2487 0.6 0.5 1.2
O 2.0825 1.1792 0.7529 -0.5 0.6 -0.6
C -0.7173 1.1842 0.5107 0.7 -0.4 -0.7
Cl -1.9846 0.1611 0.0562 -0.2 -0.2 0.3
Cl -0.8098 2.7211 -0.1162 -0.2 1.2 0.0
Cl -0.2186 -2.8487 -1.5750 -0.1 -0.2 -0.3
H -0.1589 -1.9222 -0.6988 0.1 0.0 0.3
```
Forces are in eV/Å.

(2)
Here is 11 unconnected molecules or ions with the total composition C44H88O22S11 from OMol25. Energies are from ωB97M-V/def2-TZVPD.

Output
**HOMO level**: -0.3502 Eh
**SMILES string**: O=S1(=O)CCCC1.O=S1(=O)CCCC1.O=S1(=O)CCCC1.O=S1(=O)CCCC1.O=S1(=O)CCCC1.O=S1(=O)CCCC1.O=S1(=O)CCCC1.O=S1(=O)CCCC1.O=S1(=O)CCCC1.O=S1(=O)CCCC1.O=S1(=O)CCCC1
**LUMO level**: -0.27 eV
**Gap between HOMO and LUMO**: 9.263 eV
**Charge**: 0
**E_tot**: -7764.4369 a.u.

The geometry in XYZ format:
```
165
Properties=species:S:1:pos:R:3:forces:R:3
O 7.4657 2.0196 -2.2841 -0.8 -1.8 0.0
S 6.6973 0.8098 -1.9533 -0.6 0.3 1.6
O 6.3394 -0.2249 -2.9349 0.9 1.1 0.9
C 7.3819 0.0749 -0.3133 0.8 1.1 -0.9
C 6.2223 -0.0495 0.6049 -0.9 -1.1 -0.3
C 5.2818 1.1416 0.3949 0.7 0.2 0.2
C 5.1141 1.3507 -1.1430 0.5 -0.3 0.9
H 7.9831 0.8464 0.1679 0.5 0.2 -0.8
H 7.9787 -0.8231 -0.4728 -0.2 0.1 -0.2
H 5.7473 -0.9999 0.3616 -0.6 0.0 0.2
H 6.5762 -0.1283 1.6328 0.0 0.1 0.1
H 5.7219 2.0030 0.8974 0.4 0.3 -0.5
H 4.4036 1.0430 1.0330 -0.6 -0.3 -0.9
H 5.0093 2.3900 -1.4544 -0.4 -0.2 0.1
H 4.3246 0.6940 -1.5083 0.1 0.2 -0.1
O 5.2656 -1.7450 -5.7855 -1.1 -1.2 1.1
S 4.7387 -3.0239 -5.2897 0.8 0.2 -0.3
O 5.2095 -4.1958 -5.9866 -0.3 -0.2 0.0
C 5.0069 -3.2945 -3.4891 0.4 2.4 0.2
C 3.7044 -3.7537 -2.9286 -0.2 -2.6 -0.3
C 2.5452 -3.2094 -3.7323 -0.2 1.1 1.6
C 2.8947 -3.0488 -5.1852 0.1 0.0 -0.1
H 5.1963 -2.2887 -3.1139 0.0 0.4 -0.1
H 5.9362 -3.7948 -3.2167 -0.3 -0.6 -0.6
H 3.6631 -4.8325 -3.0788 0.2 -0.4 0.1
H 3.5133 -3.6239 -1.8634 0.5 0.4 0.0
H 2.3370 -2.2707 -3.2189 -0.4 0.4 -0.6
H 1.6924 -3.8569 -3.5282 -0.2 0.1 -0.4
H 2.5035 -2.1317 -5.6255 0.1 -0.1 0.0
H 2.4914 -3.9232 -5.6960 0.5 0.1 -0.5
O 2.9944 3.1436 1.1397 -0.2 -0.3 0.1
S 2.5493 4.0276 0.0767 -0.9 0.8 -0.1
O 2.5739 3.5206 -1.3052 0.1 0.8 1.8
C 0.8848 4.8086 0.5128 0.5 -0.1 -0.9
C 1.1824 5.8800 1.5378 -0.3 -1.5 0.8
C 2.5220 6.4935 1.2232 0.9 0.6 0.9
C 3.4590 5.5832 0.3688 -1.0 0.8 -1.0
H 0.1831 4.0517 0.8633 0.1 0.0 -0.3
H 0.5755 5.2229 -0.4468 -0.2 -0.2 -0.1
H 0.4306 6.6427 1.7408 -0.3 -0.1 -0.8
H 1.1305 5.3349 2.4802 0.7 0.1 0.3
H 2.9803 6.7829 2.1689 0.3 -0.2 0.0
H 2.3059 7.4595 0.7668 0.4 -0.2 -0.6
H 4.4808 5.4149 0.7090 -0.3 -0.2 0.3
H 3.5130 6.0567 -0.6115 0.2 -0.2 -0.2
O -3.5419 -5.2667 -0.8413 0.2 0.7 0.2
S -2.5200 -4.3181 -0.4415 1.3 -0.5 0.3
O -2.8223 -2.8970 -0.2706 0.3 -1.4 -0.4
C -1.6217 -4.8980 1.0528 0.1 -0.3 0.1
C -0.2456 -5.4814 0.5853 -1.3 -0.3 0.6
C 0.1850 -4.6552 -0.5910 -0.2 0.7 0.2
C -1.0262 -4.6261 -1.5281 -0.8 0.5 0.2
H -2.1874 -5.6409 1.6152 -0.3 0.0 -0.3
H -1.5546 -4.0139 1.6868 0.4 0.1 -0.1
H 0.4606 -5.4368 1.4144 0.0 0.0 -0.1
H -0.3757 -6.5199 0.2808 -0.1 -0.2 0.2
H 1.0969 -5.0495 -1.0394 -0.1 0.1 -0.2
H 0.3861 -3.7159 -0.0759 0.2 0.5 -0.9
H -1.1856 -5.6169 -1.9534 -0.1 0.0 0.1
H -1.1245 -3.8980 -2.3332 0.5 0.2 0.1
O -0.1449 4.7773 5.3398 -1.4 -0.8 -1.0
S -0.7642 3.8660 4.3565 1.9 -0.1 1.8
O -1.3018 4.3317 3.1240 -0.7 0.8 -0.8
C 0.5595 2.7053 3.9793 -0.2 0.2 -0.4
C 0.1907 1.4186 4.7341 -0.3 -0.2 -0.2
C -0.9521 1.6372 5.7648 0.3 0.4 0.3
C -1.8995 2.6790 5.1700 0.9 0.4 -0.5
H 1.4731 3.2848 4.1124 0.1 -0.4 0.9
H 0.5721 2.5342 2.9029 -0.4 -0.1 0.0
H -0.2586 0.8218 3.9403 0.2 -0.5 0.1

_Assignment_
Echo the whole of the listing further up character by character.

_Response_
(1)
Here is 2 unconnected molecules or ions with the total composition CHCl3O2S from OMol25. Energies are from ωB97M-V/def2-TZVPD.

Output
**HOMO level (spin up / spin down)**: -0.3732 / -0.3778 Eh
**SMILES string**: O=S(=O)=C(Cl)Cl.Cl
**LUMO level (spin up / spin down)**: -2.87 / -2.58 eV
**Gap between HOMO and LUMO (spin up / spin down)**: 7.286 / 7.698 eV
**Charge**: 0
**E_tot**: -1967.8361 a.u.

The geometry in XYZ format:
```
8
Properties=species:S:1:pos:R:3:forces:R:3
O 0.8389 -0.8888 0.8214 -0.3 -1.5 -0.1
S 0.9678 0.4141 0.2487 0.6 0.5 1.2
O 2.0825 1.1792 0.7529 -0.5 0.6 -0.6
C -0.7173 1.1842 0.5107 0.7 -0.4 -0.7
Cl -1.9846 0.1611 0.0562 -0.2 -0.2 0.3
Cl -0.8098 2.7211 -0.1162 -0.2 1.2 0.0
Cl -0.2186 -2.8487 -1.5750 -0.1 -0.2 -0.3
H -0.1589 -1.9222 -0.6988 0.1 0.0 0.3
```
Forces are in eV/Å.

(2)
Here is 11 unconnected molecules or ions with the total composition C44H88O22S11 from OMol25. Energies are from ωB97M-V/def2-TZVPD.

Output
**HOMO level**: -0.3502 Eh
**SMILES string**: O=S1(=O)CCCC1.O=S1(=O)CCCC1.O=S1(=O)CCCC1.O=S1(=O)CCCC1.O=S1(=O)CCCC1.O=S1(=O)CCCC1.O=S1(=O)CCCC1.O=S1(=O)CCCC1.O=S1(=O)CCCC1.O=S1(=O)CCCC1.O=S1(=O)CCCC1
**LUMO level**: -0.27 eV
**Gap between HOMO and LUMO**: 9.263 eV
**Charge**: 0
**E_tot**: -7764.4369 a.u.

The geometry in XYZ format:
```
165
Properties=species:S:1:pos:R:3:forces:R:3
O 7.4657 2.0196 -2.2841 -0.8 -1.8 0.0
S 6.6973 0.8098 -1.9533 -0.6 0.3 1.6
O 6.3394 -0.2249 -2.9349 0.9 1.1 0.9
C 7.3819 0.0749 -0.3133 0.8 1.1 -0.9
C 6.2223 -0.0495 0.6049 -0.9 -1.1 -0.3
C 5.2818 1.1416 0.3949 0.7 0.2 0.2
C 5.1141 1.3507 -1.1430 0.5 -0.3 0.9
H 7.9831 0.8464 0.1679 0.5 0.2 -0.8
H 7.9787 -0.8231 -0.4728 -0.2 0.1 -0.2
H 5.7473 -0.9999 0.3616 -0.6 0.0 0.2
H 6.5762 -0.1283 1.6328 0.0 0.1 0.1
H 5.7219 2.0030 0.8974 0.4 0.3 -0.5
H 4.4036 1.0430 1.0330 -0.6 -0.3 -0.9
H 5.0093 2.3900 -1.4544 -0.4 -0.2 0.1
H 4.3246 0.6940 -1.5083 0.1 0.2 -0.1
O 5.2656 -1.7450 -5.7855 -1.1 -1.2 1.1
S 4.7387 -3.0239 -5.2897 0.8 0.2 -0.3
O 5.2095 -4.1958 -5.9866 -0.3 -0.2 0.0
C 5.0069 -3.2945 -3.4891 0.4 2.4 0.2
C 3.7044 -3.7537 -2.9286 -0.2 -2.6 -0.3
C 2.5452 -3.2094 -3.7323 -0.2 1.1 1.6
C 2.8947 -3.0488 -5.1852 0.1 0.0 -0.1
H 5.1963 -2.2887 -3.1139 0.0 0.4 -0.1
H 5.9362 -3.7948 -3.2167 -0.3 -0.6 -0.6
H 3.6631 -4.8325 -3.0788 0.2 -0.4 0.1
H 3.5133 -3.6239 -1.8634 0.5 0.4 0.0
H 2.3370 -2.2707 -3.2189 -0.4 0.4 -0.6
H 1.6924 -3.8569 -3.5282 -0.2 0.1 -0.4
H 2.5035 -2.1317 -5.6255 0.1 -0.1 0.0
H 2.4914 -3.9232 -5.6960 0.5 0.1 -0.5
O 2.9944 3.1436 1.1397 -0.2 -0.3 0.1
S 2.5493 4.0276 0.0767 -0.9 0.8 -0.1
O 2.5739 3.5206 -1.3052 0.1 0.8 1.8
C 0.8848 4.8086 0.5128 0.5 -0.1 -0.9
C 1.1824 5.8800 1.5378 -0.3 -1.5 0.8
C 2.5220 6.4935 1.2232 0.9 0.6 0.9
C 3.4590 5.5832 0.3688 -1.0 0.8 -1.0
H 0.1831 4.0517 0.8633 0.1 0.0 -0.3
H 0.5755 5.2229 -0.4468 -0.2 -0.2 -0.1
H 0.4306 6.6427 1.7408 -0.3 -0.1 -0.8
H 1.1305 5.3349 2.4802 0.7 0.1 0.3
H 2.9803 6.7829 2.1689 0.3 -0.2 0.0
H 2.3059 7.4595 0.7668 0.4 -0.2 -0.6
H 4.4808 5.4149 0.7090 -0.3 -0.2 0.3
H 3.5130 6.0567 -0.6115 0.2 -0.2 -0.2
O -3.5419 -5.2667 -0.8413 0.2 0.7 0.2
S -2.5200 -4.3181 -0.4415 1.3 -0.5 0.3
O -2.8223 -2.8970 -0.2706 0.3 -1.4 -0.4
C -1.6217 -4.8980 1.0528 0.1 -0.3 0.1
C -0.2456 -5.4814 0.5853 -1.3 -0.3 0.6
C 0.1850 -4.6552 -0.5910 -0.2 0.7 0.2
C -1.0262 -4.6261 -1.5281 -0.8 0.5 0.2
H -2.1874 -5.6409 1.6152 -0.3 0.0 -0.3
H -1.5546 -4.0139 1.6868 0.4 0.1 -0.1
H 0.4606 -5.4368 1.4144 0.0 0.0 -0.1
H -0.3757 -6.5199 0.2808 -0.1 -0.2 0.2
H 1.0969 -5.0495 -1.0394 -0.1 0.1 -0.2
H 0.3861 -3.7159 -0.0759 0.2 0.5 -0.9
H -1.1856 -5.6169 -1.9534 -0.1 0.0 0.1
H -1.1245 -3.8980 -2.3332 0.5 0.2 0.1
O -0.1449 4.7773 5.3398 -1.4 -0.8 -1.0
S -0.7642 3.8660 4.3565 1.9 -0.1 1.8
O -1.3018 4.3317 3.1240 -0.7 0.8 -0.8
C 0.5595 2.7053 3.9793 -0.2 0.2 -0.4
C 0.1907 1.4186 4.7341 -0.3 -0.2 -0.2
C -0.9521 1.6372 5.7648 0.3 0.4 0.3
C -1.8995 2.6790 5.1700 0.9 0.4 -0.5
H 1.4731 3.2848 4.1124 0.1 -0.4 0.9
H 0.5721 2.5342 2.9029 -0.4 -0.1 0.0
H -0.2586 0.8218 3.9403 0.2 -0.5 0.1